**Material:**
<<<
# 1
! MgAu5, relaxed, DFT GGA-PBE; values from VASP
! Space group: P-62m, No. 189
! Final energy in eV per atom: -3.255
! Calculated volume in Å³ per atom: 18.042
&SYSTEM
  ibrav = 0, nat = 6, ntyp = 2
/
ATOMIC_SPECIES
Mg 24.30 Mg.upf
Au 196.97 Au.upf
CELL_PARAMETERS angstrom
5.0888 0.0000 0.0000
-2.5444 4.4071 0.0000
0.0000 0.0000 4.8268
ATOMIC_POSITIONS angstrom
Mg 0.0000 0.0000 0.0000
Au -1.7078 2.9580 2.4134
Au 0.8366 1.4491 2.4134
Au 0.0000 2.9380 0.0000
Au 2.5444 1.4690 0.0000
Au 3.4156 0.0000 2.4134



# 2
! MgAu2, relaxed, DFT GGA-PBE; values from VASP
! Magnetization in μB per atom: 0.0000
! Space group: C2/m, No. 12
! Final energy in eV per atom: -3.167
! Calculated volume in Å³ per atom: 18.144
&SYSTEM
  ibrav = 0, nat = 6, ntyp = 2
/
ATOMIC_SPECIES
Mg 24.30 Mg.upf
Au 196.97 Au.upf
CELL_PARAMETERS angstrom
5.1287 -1.5395 0.0000
5.1287 1.5395 0.0000
-2.6841 0.0000 6.8939
>>>

**Job:**
Retype the whole of the notes further up exactly, please.

**Reply:**
# 1
! MgAu5, relaxed, DFT GGA-PBE; values from VASP
! Space group: P-62m, No. 189
! Final energy in eV per atom: -3.255
! Calculated volume in Å³ per atom: 18.042
&SYSTEM
  ibrav = 0, nat = 6, ntyp = 2
/
ATOMIC_SPECIES
Mg 24.30 Mg.upf
Au 196.97 Au.upf
CELL_PARAMETERS angstrom
5.0888 0.0000 0.0000
-2.5444 4.4071 0.0000
0.0000 0.0000 4.8268
ATOMIC_POSITIONS angstrom
Mg 0.0000 0.0000 0.0000
Au -1.7078 2.9580 2.4134
Au 0.8366 1.4491 2.4134
Au 0.0000 2.9380 0.0000
Au 2.5444 1.4690 0.0000
Au 3.4156 0.0000 2.4134



# 2
! MgAu2, relaxed, DFT GGA-PBE; values from VASP
! Magnetization in μB per atom: 0.0000
! Space group: C2/m, No. 12
! Final energy in eV per atom: -3.167
! Calculated volume in Å³ per atom: 18.144
&SYSTEM
  ibrav = 0, nat = 6, ntyp = 2
/
ATOMIC_SPECIES
Mg 24.30 Mg.upf
Au 196.97 Au.upf
CELL_PARAMETERS angstrom
5.1287 -1.5395 0.0000
5.1287 1.5395 0.0000
-2.6841 0.0000 6.8939